____________
DFT (PBE) results for a relaxed structure of FeSi.

Calculated values
Piezoelectric modulus e_max: 1.08 C/m2

a = 4.448 Å, b = 4.448 Å, c = 4.448 Å
α = 90.00°, β = 90.00°, γ = 90.00°
Fractional positions:
Fe 0.636 0.364 0.864
Si 0.341 0.659 0.159
Si 0.659 0.159 0.341
Fe 0.136 0.136 0.136
Si 0.841 0.841 0.841
Fe 0.864 0.636 0.364
Si 0.159 0.341 0.659
Fe 0.364 0.864 0.636

=====

DFT (PBE) results for a relaxed structure of FeSi2.

a = 6.284 Å, b = 6.284 Å, c = 7.818 Å
α = 90.00°, β = 90.00°, γ = 103.59°
Fractional positions:
Si 0.146 0.402 0.050
Si 0.098 0.354 0.550
Si 0.598 0.854 0.950
Si 0.402 0.146 0.050
Fe 0.307 0.307 0.312
Si 0.854 0.598 0.950
Si 0.418 0.671 0.227
Fe 0.283 0.717 0.500
Si 0.082 0.829 0.727
Fe 0.217 0.783 0.000
Fe 0.783 0.217 0.000
Si 0.902 0.646 0.450
Fe 0.193 0.193 0.812
Si 0.171 0.918 0.273
Si 0.354 0.098 0.550
Si 0.646 0.902 0.450
Fe 0.807 0.807 0.188
Si 0.329 0.582 0.773
Si 0.671 0.418 0.227
Fe 0.717 0.283 0.500
Si 0.582 0.329 0.773
Si 0.829 0.082 0.727
Fe 0.693 0.693 0.688
Si 0.918 0.171 0.273

=====

DFT (PBE) results for a relaxed structure of Fe2Si.

a = 2.797 Å, b = 2.797 Å, c = 8.332 Å
α = 90.00°, β = 90.00°, γ = 90.00°
Fractional positions:
Fe 0.000 0.000 0.174
Fe 0.000 0.000 0.826
Fe 0.000 0.000 0.500
Si 0.500 0.500 0.332
Si 0.500 0.500 0.668
Fe 0.500 0.500 0.000

=====

DFT (PBE) results for a relaxed structure of Fe2Si.

a = 4.843 Å, b = 4.843 Å, c = 4.843 Å
α = 147.69°, β = 147.69°, γ = 46.34°
Fractional positions:
Fe 0.660 0.660 0.000
Fe 0.340 0.340 0.000
Si 0.000 0.000 0.000

=====

DFT (PBE) results for a relaxed structure of Fe2Si.

a = 3.929 Å, b = 3.929 Å, c = 4.840 Å
α = 90.00°, β = 90.00°, γ = 120.00°
Fractional positions:
Fe 0.000 0.000 0.500
Si 0.333 0.667 0.181
Si 0.667 0.333 0.819
Fe 0.667 0.333 0.321
Fe 0.000 0.000 0.000
Fe 0.333 0.667 0.679

=====

DFT (PBE) results for a relaxed structure of Fe11Si5.

a = 5.570 Å, b = 5.570 Å, c = 5.570 Å
α = 90.00°, β = 90.00°, γ = 90.00°
Fractional positions:
Fe 0.000 0.000 0.500
Fe 0.253 0.253 0.747
Si 0.000 0.000 0.000
Fe 0.000 0.500 0.000
Fe 0.747 0.747 0.253
Si 0.500 0.500 0.000
Si 0.000 0.500 0.500
Fe 0.747 0.747 0.747
Fe 0.747 0.253 0.747
Fe 0.253 0.747 0.747
Fe 0.253 0.747 0.253
Si 0.500 0.000 0.500
Fe 0.747 0.253 0.253
Fe 0.253 0.253 0.253
Fe 0.500 0.000 0.000
Si 0.500 0.500 0.500

=====

The following E (MP2020) values (in eV per atom) correspond, in order, to the records above: -7.424 -6.836 -7.748 -7.691 -7.812 -7.846.
The following formation energy values (in meV per atom) correspond, in order, to the records above: -476.0 -395.6 -292.7 -235.4 -356.6 -327.9.
____________
It remains to echo everything further up verbatim.
DFT (PBE) results for a relaxed structure of FeSi.

Calculated values
Piezoelectric modulus e_max: 1.08 C/m2

a = 4.448 Å, b = 4.448 Å, c = 4.448 Å
α = 90.00°, β = 90.00°, γ = 90.00°
Fractional positions:
Fe 0.636 0.364 0.864
Si 0.341 0.659 0.159
Si 0.659 0.159 0.341
Fe 0.136 0.136 0.136
Si 0.841 0.841 0.841
Fe 0.864 0.636 0.364
Si 0.159 0.341 0.659
Fe 0.364 0.864 0.636

=====

DFT (PBE) results for a relaxed structure of FeSi2.

a = 6.284 Å, b = 6.284 Å, c = 7.818 Å
α = 90.00°, β = 90.00°, γ = 103.59°
Fractional positions:
Si 0.146 0.402 0.050
Si 0.098 0.354 0.550
Si 0.598 0.854 0.950
Si 0.402 0.146 0.050
Fe 0.307 0.307 0.312
Si 0.854 0.598 0.950
Si 0.418 0.671 0.227
Fe 0.283 0.717 0.500
Si 0.082 0.829 0.727
Fe 0.217 0.783 0.000
Fe 0.783 0.217 0.000
Si 0.902 0.646 0.450
Fe 0.193 0.193 0.812
Si 0.171 0.918 0.273
Si 0.354 0.098 0.550
Si 0.646 0.902 0.450
Fe 0.807 0.807 0.188
Si 0.329 0.582 0.773
Si 0.671 0.418 0.227
Fe 0.717 0.283 0.500
Si 0.582 0.329 0.773
Si 0.829 0.082 0.727
Fe 0.693 0.693 0.688
Si 0.918 0.171 0.273

=====

DFT (PBE) results for a relaxed structure of Fe2Si.

a = 2.797 Å, b = 2.797 Å, c = 8.332 Å
α = 90.00°, β = 90.00°, γ = 90.00°
Fractional positions:
Fe 0.000 0.000 0.174
Fe 0.000 0.000 0.826
Fe 0.000 0.000 0.500
Si 0.500 0.500 0.332
Si 0.500 0.500 0.668
Fe 0.500 0.500 0.000

=====

DFT (PBE) results for a relaxed structure of Fe2Si.

a = 4.843 Å, b = 4.843 Å, c = 4.843 Å
α = 147.69°, β = 147.69°, γ = 46.34°
Fractional positions:
Fe 0.660 0.660 0.000
Fe 0.340 0.340 0.000
Si 0.000 0.000 0.000

=====

DFT (PBE) results for a relaxed structure of Fe2Si.

a = 3.929 Å, b = 3.929 Å, c = 4.840 Å
α = 90.00°, β = 90.00°, γ = 120.00°
Fractional positions:
Fe 0.000 0.000 0.500
Si 0.333 0.667 0.181
Si 0.667 0.333 0.819
Fe 0.667 0.333 0.321
Fe 0.000 0.000 0.000
Fe 0.333 0.667 0.679

=====

DFT (PBE) results for a relaxed structure of Fe11Si5.

a = 5.570 Å, b = 5.570 Å, c = 5.570 Å
α = 90.00°, β = 90.00°, γ = 90.00°
Fractional positions:
Fe 0.000 0.000 0.500
Fe 0.253 0.253 0.747
Si 0.000 0.000 0.000
Fe 0.000 0.500 0.000
Fe 0.747 0.747 0.253
Si 0.500 0.500 0.000
Si 0.000 0.500 0.500
Fe 0.747 0.747 0.747
Fe 0.747 0.253 0.747
Fe 0.253 0.747 0.747
Fe 0.253 0.747 0.253
Si 0.500 0.000 0.500
Fe 0.747 0.253 0.253
Fe 0.253 0.253 0.253
Fe 0.500 0.000 0.000
Si 0.500 0.500 0.500

=====

The following E (MP2020) values (in eV per atom) correspond, in order, to the records above: -7.424 -6.836 -7.748 -7.691 -7.812 -7.846.
The following formation energy values (in meV per atom) correspond, in order, to the records above: -476.0 -395.6 -292.7 -235.4 -356.6 -327.9.